Excerpts from Jim Conrad's
Naturalist Newsletter

from the May 12, 2007 Newsletter issued from Sierra Gorda Biosphere Reserve, QUERÉTARO, MÉXICO

One of my favorite hiking destinations lies at the far end of the reservoir, about 45 minutes away, where the valley narrows, the lake becomes a trickling stream, and Bonpland Willows and Mexican Sycamores create a shadowy woods. Livestock trails paralleling the stream take me through the woods. Beneath every big tree there's always a comfortably rounded boulder you can sit on, and always the birds are putting on a show.

This week Clay-colored Robins have been particularly vocal and busy. They hop on the ground tossing litter aside with their bills just like American Robins. When worried about something they issue nasal clucks the way nervous American Robins do, and their body shape and size is just like the American Robin's. The only obvious big difference between the two species is that the Clay-colored's drab plumage shows only hues of brown. Below, you can see one I photographed another time in the Yucatán.

Clay-colored Robin, TURDUS GRAYI

If your computer can handle WAV files you can hear one by clicking on the "play" button on the blue thing here.

This week I watched a Clay-colored Robin starting the building of her nest with what appeared to be dried-up willow rootlets left hanging on dry banks, now that the water is so low. I read that the finished nest will have a middle layer of mud. The species lays 2-3 pale to bright blue eggs, and may produce two broods. I also read that Clay-colored Robins eat earthworms, slugs, insects, fruits, and sometimes lizards. They follow army ants and feed on small animals trying to escape the ant columns.

********
#one
{
  "formula": "Li4MnCo2O7",
  "functional": "GGA-PBEsol",
  "state": "relaxed",
  "lattice": [[4.8732, -0.0269, 0.0261], [0.8306, 6.2790, -0.0343], [1.6002, 0.3331, 7.3095]],
  "species": ["Mn", "Mn", "Co", "Co", "Co", "Co", "O", "O", "O", "O", "O", "O", "O", "O", "O", "O", "O", "O", "O", "O", "Li", "Li", "Li", "Li", "Li", "Li", "Li", "Li"],
  "frac_coords": [[0.0006, 0.9990, 0.9996], [0.5745, 0.8514, 0.8504], [0.2848, 0.4300, 0.4302], [0.4291, 0.1415, 0.1424], [0.7129, 0.5742, 0.5733], [0.8562, 0.2862, 0.2869], [0.6828, 0.1258, 0.9049], [0.7988, 0.8513, 0.6191], [0.5349, 0.4034, 0.1933], [0.4032, 0.6945, 0.4663], [0.2529, 0.9987, 0.7712], [0.1060, 0.2692, 0.0499], [0.9622, 0.5498, 0.3387], [0.8799, 0.7377, 0.9666], [0.0309, 0.4342, 0.6608], [0.7507, 0.0189, 0.2371], [0.6087, 0.3096, 0.5191], [0.4825, 0.5862, 0.8167], [0.3173, 0.8709, 0.0945], [0.1811, 0.1611, 0.3744], [0.7984, 0.4353, 0.9173], [0.9320, 0.1471, 0.6372], [0.6415, 0.7080, 0.2227], [0.4899, 0.9908, 0.5010], [0.3495, 0.3023, 0.7754], [0.2149, 0.5665, 0.0696], [0.0779, 0.8475, 0.3731], [0.1458, 0.7090, 0.7082]],
  "dos_at_fermi_per_ev_atom": 0.13
}

#two
{
  "formula": "Li4MnCo2O7",
  "functional": "GGA-PBEsol",
  "state": "relaxed",
  "lattice": [[4.8784, 0.0979, -0.0584], [-1.7221, 5.3968, 0.0641], [-0.7209, -0.4555, 8.4165]],
  "species": ["Li", "Li", "Li", "Li", "Li", "Li", "Li", "Li", "Mn", "Mn", "Co", "Co", "Co", "Co", "O", "O", "O", "O", "O", "O", "O", "O", "O", "O", "O", "O", "O", "O"],
  "frac_coords": [[0.4200, 0.8532, 0.3609], [0.2847, 0.5740, 0.0707], [0.8673, 0.7126, 0.2201], [0.7153, 0.4260, 0.9293], [0.1327, 0.2874, 0.7799], [0.5800, 0.1468, 0.6391], [0.0000, 0.0000, 0.5000], [0.0000, 0.5000, 0.5000], [0.5710, 0.6422, 0.6427], [0.4290, 0.3578, 0.3573], [0.2860, 0.0717, 0.0718], [0.1425, 0.7844, 0.7851], [0.8575, 0.2156, 0.2149], [0.7140, 0.9283, 0.9282], [0.6888, 0.6639, 0.4347], [0.5698, 0.3730, 0.1509], [0.1474, 0.5125, 0.2828], [0.9925, 0.2223, 0.0103], [0.4203, 0.0795, 0.8693], [0.8562, 0.9431, 0.7225], [0.2988, 0.8125, 0.5876], [0.1438, 0.0569, 0.2775], [0.0075, 0.7777, 0.9897], [0.5797, 0.9205, 0.1307], [0.4302, 0.6270, 0.8491], [0.8526, 0.4875, 0.7172], [0.3112, 0.3361, 0.5653], [0.7012, 0.1875, 0.4124]]
}

Of all the structures shown, which is most stable? #two, and #one is the least stable.


DFT (PBE) results for an optimized crystal structure of TaZnPb2.

Lattice parameters (Å, degrees): 7.931 5.343 3.153 89.83 66.83 128.77
Atoms (fractional coordinates):
Zn: 0.500 0.500 0.000
Pb: 0.000 0.000 0.000
Pb: 0.500 0.000 0.500
Ta: 0.000 0.500 0.500

Summary:
M_tot in μB per cell: 0.0
Formation energy from the elements in meV per atom: 536


DFT (PBE) results for an optimized crystal structure of TaZn2Pb.

Lattice parameters (Å, degrees): 4.121 4.333 4.104 90.00 90.00 90.00
Atoms (fractional coordinates):
Zn: 0.000 0.000 0.000
Zn: 0.500 0.500 0.000
Ta: 0.000 0.500 0.500
Pb: 0.500 0.000 0.500

Summary:
M_tot in μB per cell: 0.0
********

Clay-colored Robins are so reminiscent of American Robins that I just assumed that, as with the American Robin, the Clay-colored male would claim and vigorously defend a territory, while the female nested somewhere within it. Therefore, this week, what I saw didn't make sense.

Around the tree where the female Clay-colored Robin was building her nest I saw three other Clay-colors doing various things. Moreover, as I continued up the valley I passed through several clusters of the species. I heard lots of singing and saw some courtship behavior but most robins seemed to be doing nothing special. In fact, what stuck me was that nowhere could I see territory-boundary disputes taking place, and clearly there were no territories being claimed by exclusively male-female family units. This was a situation to place before Google.

On the Internet I found no comprehensive description of Clay-colored Robin behavior, but I did find brief references and side remarks that gradually presented a picture.

In an online article of the journal The Condor,at http://www.princeton.edu/~hau/ReprintLinks/2003Condor105.pdf I found the Clay-colored Robin's social system described as "mating aggregations, leks," and its territoriality as "short, local display court." In the same paper I read that Clay-colored Robins "display in groups."

That word "lek" refers to an aggregation of males, each seeking to attract a mate, and each displaying fervently. It's assumed that "lekking" groups attract more females than do isolated males, and probably this helps the females better compare their potential mate.

Another online article referred to Clay-colored Robins as "polygynous," and yet another called them a "potentially polygynous (lekking) species." In biology, polygyny is a mating practice in which the male takes more than one female sexual partner.

Digesting these laconic and somewhat cryptic lines gradually I conjured an idea of what I'd seen among the Clay-colored Robins that day.

I would guess that that morning the livestock trail along the stream took me through one "mating aggregation" after another, each group consisting of one to several females and a male, and maybe there were "surplus males" weaving in and out of groups as opportunities arose.

That's just a guess, though. The only thing for sure is that at first glance Clay-colored Robins may remind us a very great deal of American Robins, but by no means do their mating activities come close to how Northerners expect a good robin to behave.